Youth Suicide Prevention Ireland
Congratulations to all students and staff who raised €4520 by taking part in a 24 hour fast.
A cheque was presented to YSPI on Monday 19th December. The fast was organised by 5th year student Niamh McCullagh.
Youth Suicide Prevention Ireland works exclusively with young people ages 12 -22 to raise awareness of youth suicide. They work with schools, colleges and youth groups to provide youth suicide prevention services which are all provided under the Four Steps to Help Programme for Schools.
Students Against Suicide is a National Awareness and Solidarity Campaign for 2017. YSPI’s Schools Programme will reach around 24,000 students in schools and colleges across the country this year but don’t receive a cent from the government. They want 2017 to be a year of awareness and solidarity with the families, friends and fellow students of those young people who have died by suicide.
Niamh even managed to get a message of support from Niall Breslin. Maith sibh.

**Misplaced materials data**
No. 1
NaLi3Hg4: computed powder diffractogram (Cu Kα (weighted mean of Kα1 and Kα2)), based on a structure optimized by DFT (PBE).

Top 6 peaks for 2θ = 10–90°, sorted by position:
2θ/deg  d [Å]  I/Imax
25.09  3.550  51.4
26.30  3.388  100.0
36.67  2.451  97.1
37.54  2.396  49.2
45.68  1.986  43.1
67.17  1.394  33.8

Crystal structure
abc: 9.584 7.099 4.792
angles: 90.00 90.00 90.00
Element x y z (fractional)
Na1 0.000 0.000 0.000
Na2 0.500 0.000 0.000
Li1 0.000 0.500 0.000
Li2 0.250 0.000 0.498
Li3 0.250 0.500 0.497
Li4 0.500 0.500 0.000
Li5 0.750 0.000 0.502
Li6 0.750 0.500 0.503
Hg1 0.000 0.273 0.500
Hg2 0.000 0.727 0.500
Hg3 0.250 0.273 0.998
Hg4 0.250 0.727 0.998
Hg5 0.500 0.273 0.500
Hg6 0.500 0.727 0.500
Hg7 0.750 0.273 0.002
Hg8 0.750 0.727 0.002

=====

No. 2
LiRh2N3: computed powder diffractogram (Cu Kα (weighted mean of Kα1 and Kα2)), based on a structure optimized by DFT (PBE).

Top 6 peaks for 2θ = 10–90°, sorted by position:
2θ/deg  d [Å]  I/Imax
17.85  4.969  47.2
24.68  3.608  85.0
31.42  2.847  32.8
33.25  2.695  51.0
35.67  2.517  100.0
36.33  2.473  35.7

Crystal structure
abc: 5.696 5.696 5.389
angles: 90.00 90.00 58.50
Element x y z (fractional)
Li1 0.177 0.823 0.500
Li2 0.823 0.177 0.000
Rh1 0.159 0.513 0.996
Rh2 0.487 0.841 0.996
Rh3 0.513 0.159 0.496
Rh4 0.841 0.487 0.496
N1 0.169 0.477 0.362
N2 0.184 0.816 0.900
N3 0.477 0.169 0.862
N4 0.523 0.831 0.362
N5 0.816 0.184 0.400
N6 0.831 0.523 0.862

=====

No. 3
Cs3H2Au: computed powder diffractogram (Cu Kα (weighted mean of Kα1 and Kα2)), based on a structure optimized by DFT (PBE).

Top 6 peaks for 2θ = 10–90°, sorted by position:
2θ/deg  d [Å]  I/Imax
22.20  4.004  77.3
27.80  3.210  47.8
28.07  3.179  91.3
29.25  3.053  43.3
29.65  3.013  100.0
38.34  2.348  70.0

Crystal structure
abc: 8.170 4.631 12.389
angles: 90.00 102.79 90.00
Element x y z (fractional)
Cs1 0.119 0.250 0.155
Cs2 0.208 0.250 0.487
Cs3 0.348 0.250 0.858
Cs4 0.652 0.750 0.142
Cs5 0.792 0.750 0.513
Cs6 0.881 0.750 0.845
H1 0.013 0.750 0.322
H2 0.242 0.750 0.004
H3 0.758 0.250 0.996
H4 0.987 0.250 0.678
Au1 0.469 0.750 0.670
Au2 0.531 0.250 0.330

=====

Repeat the second record exactly.
LiRh2N3: computed powder diffractogram (Cu Kα (weighted mean of Kα1 and Kα2)), based on a structure optimized by DFT (PBE).

Top 6 peaks for 2θ = 10–90°, sorted by position:
2θ/deg  d [Å]  I/Imax
17.85  4.969  47.2
24.68  3.608  85.0
31.42  2.847  32.8
33.25  2.695  51.0
35.67  2.517  100.0
36.33  2.473  35.7

Crystal structure
abc: 5.696 5.696 5.389
angles: 90.00 90.00 58.50
Element x y z (fractional)
Li1 0.177 0.823 0.500
Li2 0.823 0.177 0.000
Rh1 0.159 0.513 0.996
Rh2 0.487 0.841 0.996
Rh3 0.513 0.159 0.496
Rh4 0.841 0.487 0.496
N1 0.169 0.477 0.362
N2 0.184 0.816 0.900
N3 0.477 0.169 0.862
N4 0.523 0.831 0.362
N5 0.816 0.184 0.400
N6 0.831 0.523 0.862

=====

Repeat the third record exactly.
Cs3H2Au: computed powder diffractogram (Cu Kα (weighted mean of Kα1 and Kα2)), based on a structure optimized by DFT (PBE).

Pictured left to right: Ms E Ryan Deputy Principal, Niamh McCullagh, Gearóid YSPI, Tony Philpott (Chief Executive YSPI), Mr A Mongey Principal.
Pilot Scheme with the Road Safety Authority
L to R Ms G Cooley, Galway Co Council, Liam Noone, Ms A Patten RSA, Saoirse Grainger, Ms P Sloyan Garda, Aaron Ryder, Hannah Toolan, Ms E Ryan Deputy Principal. Photo: J Travers.
Coláiste Bhaile Chláir are taking part in a Pilot Initiative to encourage students to wear high visibility vests to and from school. Galway County Council and The Road Safety Authority representatives launched this initiative in Coláiste Bhaile Chláir on the 20th December. We were joined by Garda Superintendent Mr Noel Kelly Western Regional Traffic Superintendent, Ms P Sloyan Claregalway Garda, Ms Ann Patten from the Road Safety Authority, Ms Geraldine Cooley ASO Galway County Council and Local Councillor Mr Malachy Noone. Many thanks to 1st year group 1Sheridan for their involvement.
High Visibility Vests supplied by the Road Safety Authority are available for all students.
Promoting Awareness, #BeSafeBeSeen (Photo: J Travers)
All Ireland Champions – Annaghdown LGFA
Coláiste Bhaile Chláir were delighted to welcome All Ireland Intermediate Champions Annaghdown to our school on Friday 16th December.
Annaghdown ladies joined an elite number of Galway clubs to capture the All-Ireland Intermediate final at Parnell Park on Sunday 4th December with a two point win over Armagh side Shane O’ Neill’s following in the footsteps of Kilkerrin-Clonberne 1999, St Brendans 2001 and Claregalway three years ago.
The parish was a sea of maroon and white banners and bunting as the final approached and the team were in no doubt of the huge support that was out there and that was again shown on at the official homecoming in the Corrandulla Community Centre when a full house greeted the champions. Our very own Transition year student Ciara McCarthy was instrumental in their success scoring a point in the final. Speaking on Friday club Chairperson Ms Hillary Hussey congratulated Ciara and explained how Ciara lifted the crowd when she came on at halftime smiling and ready for action.
Ms Hussey asked students to get involved with their local clubs by helping out underage and outlined how important sport was for life, forging friendships and developing interpersonal skills.

Coláiste Bhaile Chláir, Ladies Gaelic Footballers.
Anach Cuain abú
All first years took part in our annual first year race aimed at promoting physical activity and to help us identify any hidden athletes. As usual it was a very competitive race with some students completing the 1km race in excellent times.
Pictured are first year winners Owen Coll and Adrianna Kazimierczak.

1. Owen Coll
2. Darren O’Reilly
3. Sean Lynch

1. Adrianna Kazinierczak
2. Laura Scanlan
3. Natalia Sikorska
In Brief
Coláiste Bhaile Chláir Christmas Jumper Day Christmas Fundraiser for @GalwayHospice

All monies raised from our non-uniform day on Wednesday 21st of December will be donated to Galway Hospice.
Junior Achievement
First year @ClaregalwayColl students enjoying the #Futurewize #STEM programme recently with @Fidelity volunteer Mr Noel Maher

Great talent at our Christmas Concert all organised by 5th year music #maithsibh

-- These crystal structures were left in the text by mistake --
┌──
[1]
Theoretical XRD peak list of Cs5AgBr8 for Cu Kα (weighted mean of Kα1 and Kα2), from DFT lattice parameters and positions (PBE).
Neutral-atom scattering factors, no anomalous dispersion.

The 8 most intense peaks (2θ from 10° to 80°), sorted by position:
two_theta  I (rel.)
19.1  27
20.3  41
24.0  100
26.5  46
26.8  93
29.4  48
38.3  85
42.1  25

Crystal structure
Cell: 9.5209 9.5209 9.5209 Å, 113.06 113.06 102.51°
Atoms (fractional coordinates):
Cs (0.0000, 0.0000, 0.0000)
Cs (0.1130, 0.2556, 0.5850)
Cs (0.4720, 0.8870, 0.1426)
Cs (0.6706, 0.5280, 0.4150)
Cs (0.7444, 0.3294, 0.8574)
Ag (0.2500, 0.7500, 0.5000)
Br (0.0234, 0.6012, 0.8054)
Br (0.2201, 0.5472, 0.2112)
Br (0.3360, 0.0089, 0.7888)
Br (0.3988, 0.2041, 0.4222)
Br (0.4528, 0.6640, 0.6729)
Br (0.7820, 0.9766, 0.5778)
Br (0.7959, 0.2180, 0.1946)
Br (0.9911, 0.7799, 0.3271)

***

[2]
Theoretical XRD peak list of RbSrSeI for Cu Kα (weighted mean of Kα1 and Kα2), from DFT lattice parameters and positions (PBE).
Neutral-atom scattering factors, no anomalous dispersion.

The 8 most intense peaks (2θ from 10° to 80°), sorted by position:
two_theta  I (rel.)
23.1  15
26.1  28
28.1  100
33.0  16
38.6  47
41.7  23
48.4  22
63.6  19

Crystal structure
Cell: 8.9790 8.9790 8.9790 Å, 30.11 30.11 30.11°
Atoms (fractional coordinates):
Rb (0.0000, 0.0000, 0.0000)
Sr (0.8077, 0.8077, 0.8077)
Se (0.4179, 0.4179, 0.4179)
I (0.2277, 0.2277, 0.2277)

=====

Calculated X-ray diffraction stick pattern
Compound: Tb3ErRu3
Radiation: Cu Kα
Structure: a structure optimized by DFT (GGA-PBE)
Peak positions follow from Bragg's law for the DFT cell and can differ from measured ones.

Structural model:
```
Tb3ErRu3
1.0
4.7656 2.7514 1.9507
-4.7656 2.7514 1.9507
0.0000 -5.5029 1.9507
Tb Er Ru
3 1 3
direct
0.0575 0.4713 0.4713
0.4713 0.0575 0.4713
0.4713 0.4713 0.0575
0.8857 0.8857 0.8857
0.4707 0.9704 0.9704
0.9704 0.4707 0.9704
0.9704 0.9704 0.4707
```

Principal peaks in the range 10 to 90 degrees two-theta, in order of rising 2θ:
2theta	d [Å]	I (rel.)
26.4	3.373	11
32.5	2.754	56
37.7	2.385	100
42.4	2.133	12
54.4	1.686	11
58.0	1.590	28
64.9	1.437	9
68.1	1.376	13
71.2	1.324	9
89.6	1.094	12
└──

Nollaig Shona Daoibh ó Choláiste Bhaile Chláir
Is eol duit , a Mhuire,
Cá rachair i mbliana
Ag iarraidh foscaidh
Do do Leanbh Naofa,
Tráth a bhfuil gach doras
Dúnta Ina éadan
Ag fuath is uabhar
An cine daonna?
Deonaigh glacadh
Le cuireadh uaimse
Go hoileán mara
San Iarthar cianda;
Beidh coinnle geala
I ngach fuinneog lasta
Is tine mhóna
Ar theallach adhainte.